LeadsCalendar: Developer Documentation

This documentation website serves as a guide for developers integrating with LeadsCalendar, a web application that combines Google Calendar event creation with payment processing via PayPal and Binance Pay.

Project Overview

LeadsCalendar simplifies scheduling by integrating event creation and payment processing. Users can create events on Google Calendar directly from the LeadsCalendar interface, followed by a secure payment of 1 USD or its equivalent in cryptocurrency through PayPal or Binance Pay.

Technical Requirements

This documentation focuses on integrating the following APIs:

Functionality Breakdown

  1. Event Creation: Users create events seamlessly within LeadsCalendar's interface.
  2. Payment Prompt: Following event creation, users are prompted to make a 1 USD payment or its cryptocurrency equivalent.
  3. Payment Processing: Event confirmation occurs only after successful payment processing via PayPal or Binance Pay.

[1]
LiDyHo (PBE-GGA, relaxed); space-group type = No. 216; raw total energy = -3.173 eV per atom; magnetic moment = 0.08 μB per formula unit; ρ = 6.2 Mg/m³; crystal system = cubic
1.0
0.0000 3.5527 3.5527
3.5527 0.0000 3.5527
3.5527 3.5527 0.0000
Ho Dy Li
1 1 1
direct
0.0000 0.0000 0.0000
0.5000 0.5000 0.5000
0.2500 0.2500 0.2500



[2]
Mg6CdHg (PBE-GGA, relaxed); space-group type = No. 187; raw total energy = -1.422 eV per atom; ρ = 4.4 Mg/m³; crystal system = hexagonal
1.0
-2.6613 2.0352 -5.3249
3.7775 -5.0300 -0.0939
-3.9433 -2.9770 0.8330
Cd Mg Hg
1 6 1
direct
0.0000 0.0000 0.0000
0.4986 0.5014 0.0000
0.0028 0.5014 0.0000
0.3310 0.1655 0.5000
0.8345 0.1655 0.5000
0.4986 0.9972 0.0000
0.8345 0.6690 0.5000
0.3333 0.6667 0.5000



[3]
ErCuAg (PBE-GGA, relaxed); space-group type = No. 216; raw total energy = -3.459 eV per atom; magnetic moment = 0.00 μB per formula unit; ρ = 7.8 Mg/m³; formation enthalpy at 0 K = 0.24 eV per atom; crystal system = cubic
1.0
0.0000 3.2994 3.2994
3.2994 0.0000 3.2994
3.2994 3.2994 0.0000
Cu Ag Er
1 1 1
direct
0.7500 0.7500 0.7500
0.2500 0.2500 0.2500
0.0000 0.0000 0.0000



[4]
ZnFeAsW (PBE-GGA, relaxed); space-group type = No. 216; raw total energy = -6.397 eV per atom; magnetic moment = 1.98 μB per formula unit; ρ = 11.3 Mg/m³; crystal system = cubic
1.0
0.0000 3.0367 3.0367
3.0367 0.0000 3.0367
3.0367 3.0367 0.0000
Fe W Zn As
1 1 1 1
direct
0.7500 0.7500 0.7500
0.2500 0.2500 0.2500
0.5000 0.5000 0.5000
0.0000 0.0000 0.0000



[5]
LiBe2Ag (PBE-GGA, relaxed); space-group type = No. 216; raw total energy = -2.913 eV per atom; ρ = 4.8 Mg/m³; crystal system = cubic
1.0
0.0000 2.8427 2.8427
2.8427 0.0000 2.8427
2.8427 2.8427 0.0000
Be Ag Li
2 1 1
direct
0.7500 0.7500 0.7500
0.0000 0.0000 0.0000
0.2500 0.2500 0.2500
0.5000 0.5000 0.5000



[6]
KHfTe3Au (PBE-GGA, relaxed); space-group type = No. 62; raw total energy = -4.569 eV per atom; magnetic moment = 0.00 μB per formula unit; ρ = 7.1 Mg/m³; crystal system = orthorhombic
1.0
12.7901 0.0000 0.0000
0.0000 4.2806 0.0000
0.0000 0.0000 13.5328
Te Hf Au K
12 4 4 4
direct
0.9675 0.0000 0.1839
0.2313 0.5000 0.1590
0.0325 0.5000 0.8161
0.0812 0.0000 0.4260
0.4188 0.5000 0.9260
0.5812 0.0000 0.0740
0.7687 0.0000 0.8410
0.4675 0.0000 0.3161
0.7313 0.5000 0.3410
0.9188 0.5000 0.5740
0.2687 0.0000 0.6590
0.5325 0.5000 0.6839
0.9453 0.5000 0.3341
0.0547 0.0000 0.6659
0.4453 0.5000 0.1659
0.5547 0.0000 0.8341
0.7476 0.5000 0.7054
0.2524 0.0000 0.2946
0.7524 0.0000 0.2054
0.2476 0.5000 0.7946
0.3254 0.5000 0.4743
0.1746 0.0000 0.9743
0.6746 0.0000 0.5257
0.8254 0.5000 0.0257



[7]
Ba2CdTcSe6 (PBE-GGA, relaxed); space-group type = No. 139; raw total energy = -4.355 eV per atom; magnetic moment = 2.22 μB per formula unit; ρ = 5.7 Mg/m³; crystal system = tetragonal
1.0
-3.6692 3.6692 5.2005
3.6692 -3.6692 5.2005
3.6692 3.6692 -5.2005
Se Ba Tc Cd
6 2 1 1
direct
0.7413 0.7413 0.4826
0.7413 0.2587 0.0000
0.2585 0.2585 0.0000
0.2587 0.7413 0.0000
0.2587 0.2587 0.5174

Documentation Format

This documentation is built using a static site generator (your choice: Jekyll, Hugo, or MkDocs). The structure emphasizes clarity with detailed explanations, code samples, and configuration steps for API integration.

Getting Started

Before diving into specific APIs, ensure you have:

  • A functional LeadsCalendar backend
  • Accounts with Google Cloud Platform, PayPal Developer Platform, and Binance Developer Platform

API Integration Guides

  • Google Calendar API:
    • Explains authorization flow for Google Calendar access
    • Provides code samples for creating events using the API
    • Details handling of event recurrence and time zones
  • PayPal REST API:
    • Guides through PayPal account setup for developers
    • Explains payment creation process with the REST API
    • Includes code samples for initiating and handling PayPal transactions
  • Binance Pay API:
    • Introduces Binance Pay API concepts and authentication
    • Provides instructions for creating payment orders
    • Offers code samples for integrating Binance Pay into LeadsCalendar

Deployment Considerations

  • Choose a suitable hosting platform for your LeadsCalendar application
  • Implement security best practices for user data and payment processing
  • Configure API keys and credentials securely within your backend code

Additional Resources

  • LeadsCalendar API Reference (if applicable)
  • Troubleshooting guide for common integration issues


This documentation serves as a comprehensive guide for developers integrating with LeadsCalendar. By following these steps and leveraging the provided resources, you can successfully integrate Google Calendar, PayPal, and Binance Pay functionalities into your LeadsCalendar application, offering a streamlined event creation and payment experience for users.

1. Google Calendar API

This section provides comprehensive API documentation for integrating LeadsCalendar with Google Calendar API.

Integration Purpose: Create events on Google Calendar after user confirmation and successful payment processing within LeadsCalendar.


LeadsCalendar requires user authorization to access their Google Calendar data and create events. Here's a simplified overview:

  1. Google OAuth 2.0: Implement Google OAuth 2.0 flow to obtain user consent for accessing their Google Calendar. This involves:
    • Registering your LeadsCalendar application with Google Cloud Platform (GCP) and creating OAuth credentials.
    • Redirecting users to a Google authorization page where they grant access.
    • Upon consent, Google returns an authorization code that LeadsCalendar can exchange for an access token.
    • Store the access token securely to make authenticated requests to the Google Calendar API.

API Calls:

  • Events.insert: This method creates a new event on the authorized user's Google Calendar. You'll need to provide details like event summary, description, date/time, and optionally attendees.

Code Sample (using Python and Google APIs Client Library):

from googleapiclient.discovery import build

def create_google_calendar_event(event_data, access_token):
  service = build('calendar', 'v3', credentials=access_token)

  event = service.events().insert(calendarId='primary', body=event_data).execute()

  return event


  • summary (string): Required. Brief summary of the event.
  • description (string): Optional. Detailed description of the event.
  • start.dateTime (string): Required. The datetime (as RFC 3339) of the event's start.
  • end.dateTime (string): Required. The datetime (as RFC 3339) of the event's end.
  • attendees (list of objects): Optional. List of attendees with email addresses.

Error Handling:

Google Calendar API uses standard HTTP status codes for error handling. Here are some common codes and recommendations:

400 (Bad Request)The request is invalid due to missing or malformed parameters.- Check the request body for missing or invalid fields. - Verify parameter values according to API documentation.
401 (Unauthorized)Access token is invalid, expired, or revoked.- Refresh the access token if expired. - Prompt the user to re-authorize access if the token is invalid.
403 (Forbidden)User doesn't have permission to create events on the specified calendar.- Verify the user's permissions on the target calendar.
404 (Not Found)The requested calendar resource (e.g., specific calendar ID) doesn't exist.- Double-check the calendar ID used in the request.
429 (Too Many Requests)Rate limit exceeded for API calls.- Implement exponential backoff to retry the request after a delay.

A code snippet (Python) demonstrating how to handle errors based on status code and parse the error message:

def create_google_calendar_event(event_data, access_token):
  service = build('calendar', 'v3', credentials=access_token)

    event = service.events().insert(calendarId='primary', body=event_data).execute()
    return event
  except HTTPError as error:
    # Check the status code
    if error.resp.status in (400, 401, 403):
      # Parse the error message for details
      error_data = json.loads(error.resp.content)
      error_message = error_data.get('error', {}).get('message')
      print(f"Error creating event: {error_message}")
      # Handle the error based on the specific message (e.g., refresh token, inform user)
      raise  # Re-raise unexpected errors

Important Notes:

2. PayPal REST API

This section provides comprehensive API documentation for integrating LeadsCalendar with PayPal REST API.

Integration Purpose: Process secure payments of 1 USD (or equivalent in cryptocurrency) through PayPal upon event creation in LeadsCalendar.


  • Obtain PayPal REST API credentials from your PayPal Developer account. These include Client ID and Secret.

API Calls:

  • Create Payment (POST): Initiates a payment using the /payments endpoint. You'll need to specify payment details in the request body.


  • intent (string) - Required: Set to sale for a one-time payment.
  • payer (object) - Required: Defines the payment source.
    • payment_method (string): Set to paypal for payments using user's PayPal account.
  • transactions (list of objects) - Required: Specifies the transaction details.
    • amount (object):
      • total (number): Required. Total amount to be paid.
      • currency (string): Required. Currency code (e.g., USD).
    • description (string): Required. Brief description of the payment purpose (e.g., "LeadsCalendar Event Fee").

Code Sample (using Python and requests library):

import requests

def create_paypal_payment(access_token, amount, description):
  headers = {"Authorization": f"Bearer {access_token}"}
  data = {
      "intent": "sale",
      "payer": {
          "payment_method": "paypal"
      "transactions": [
              "amount": {
                  "total": amount,
                  "currency": "USD"
              "description": description

  response = requests.post("https://api.paypal.com/v1/payments/payment", headers=headers, json=data)
  response.raise_for_status()  # Raise exception for non-200 status codes

  return response.json()

Error Handling:

PayPal REST API uses standard HTTP status codes and provides detailed error messages in the JSON response body. Here are some common codes and recommendations:

400 (Bad Request)The request is invalid due to missing or malformed parameters.- Parse the error message to identify the specific parameter causing the issue. - Correct the parameter value and retry the API call.
401 (Unauthorized)Invalid or expired client credentials.- Verify your PayPal REST API credentials are correct.
403 (Forbidden)Insufficient permissions for the requested operation.- Ensure your account has permission to create payments.
404 (Not Found)The requested resource (e.g., specific payment) doesn't exist.- Double-check the payment ID used in the request (if applicable).
429 (Too Many Requests)Rate limit exceeded for API calls.- Implement exponential backoff to retry the request after a delay.

A code snippet (Python with requests library) demonstrating error handling based on status code and parsing the error response:

    response = requests.post("https://api.paypal.com/v1/payments/payment", headers=headers, json=data)
    response.raise_for_status()  # Raise exception for non-200 status codes
    return response.json()
  except requests.exceptions.HTTPError as error:
    # Check the status code
    if error.response.status_code in (400, 401, 403):
      # Parse the error JSON for details
      error_data = error.response.json()
      error_code = error_data.get('error_code')
      error_message = error_data.get('message')
      print(f"Error creating payment: {error_code} - {error_message}")
      # Handle the error based on the specific code (e.g., refresh token, inform user)
      raise  # Re-raise unexpected errors

Important Notes:

  • Ensure secure storage and transmission of access tokens.
  • Refer to PayPal REST API documentation for a complete list of parameters and response structures: https://developer.paypal.com/api/rest/

3. Binance Pay API

This section provides comprehensive API documentation for integrating LeadsCalendar with Binance Pay API.

Integration Purpose: Enable users to pay the 1 USD equivalent in cryptocurrency using Binance Pay within LeadsCalendar.


  • Acquire Binance API credentials (API Key and Secret) from your Binance Developer Platform account.

API Calls:

  • Create Order (POST): Creates a payment order for the user using the /orders endpoint. Details are provided in the request body.


  • transactionType (string) - Required: Set to PAY for a payment transaction.
  • fiat (string) - Required: Set to USD for the desired settlement currency.
  • price (number) - Required: Specify the amount in USD (e.g., 1.00).
  • callbackUrl (string) - Required: Define a URL in your LeadsCalendar application to receive Binance Pay confirmation.

Error Handling:

Binance Pay API uses standard HTTP status codes along with JSON error responses that provide details about the encountered problem. Here's a reference table listing potential error codes, their meanings, and recommendations for handling them:

400 (Bad Request)The request is invalid due to missing or malformed parameters.1. Parse the error message body for details. It will likely contain an error_code and a specific error message describing the problem.
2. Inspect your request parameters and identify the one causing the error based on the error code and message.
3. Correct the parameter value according to the Binance Pay API documentation.
4. Retry the API call with the corrected parameter.
401 (Unauthorized)Invalid or expired API credentials.1. Verify that your API Key and Secret used in the request are correct.
2. Check if the credentials have expired. If so, refresh them using the Binance API renewal process.
3. Retry the API call with the valid credentials.
403 (Forbidden)Insufficient permissions for the requested operation.1. Ensure your Binance API account has the necessary permissions to create payment orders (e.g., "ORDER_CREATE").
2. If unsure about permissions, contact Binance support for clarification.
429 (Too Many Requests)Rate limit exceeded for API calls.1. Implement an exponential backoff strategy. This involves retrying the request after a waiting period that doubles with each attempt.
2. This approach helps avoid overwhelming the Binance Pay API with requests.
404 (Not Found)(Less likely for order creation) Resource not found (e.g., specific order ID).1. Double-check any IDs used in the request (if applicable).
2. Verify you're using the correct API endpoint.
500 (Internal Server Error)An issue on Binance Pay's side.1. Retry the API call after a reasonable delay (e.g., a few minutes) as the server issue might be temporary.
2. If the error persists, consider contacting Binance support for assistance.

Code Snippet (Python):

Here's an example code snippet (using the requests library) demonstrating error handling based on status code and parsing the error response for Binance Pay API:

import requests

def create_binance_pay_order(api_key, secret, price, callback_url):
  headers = {"X-MBX-APIKEY": api_key}
  data = {
      "transactionType": "PAY",
      "fiat": "USD",
      "price": price,
      "callbackUrl": callback_url

  url = "https://api.binance.com/orders"

    response = requests.post(url, headers=headers, json=data)
    response.raise_for_status()  # Raise exception for non-200 status codes
    return response.json()
  except requests.exceptions.HTTPError as error:
    # Check the status code
    if error.response.status_code in (400, 401, 403):
      # Parse the error JSON for details
      error_data = error.response.json()
      error_code = error_data.get('code')
      error_msg = error_data.get('msg')
      print(f"Error creating order: {error_code} - {error_msg}")
      # Handle the error based on the specific code (e.g., refresh credentials, inform user)
    elif error.response.status_code == 429:
      print(f"Rate limit exceeded. Retrying after {delay} seconds...")
      # Implement exponential backoff logic here
      # Retry the request after a calculated delay
      raise  # Re-raise unexpected errors

# Example usage with error handling
  order_response = create_binance_pay_order(your_api_key, your_secret, 1.00, "https://your-callback-url")
  # Process successful response
except Exception as e:
  print(f"An error occurred: {e}")
  # Handle any errors during order creation


  • Replace your_api_key, your_secret, 1.00, and "https://your-callback-url" with your actual values.